Set down all of the calculation results further down character by character, please.
/*
(1)
Na5ScTa3Si5PO24: optimized geometry, PBE.

Cell lengths 9.032, 9.036, 22.493 Å; angles 90.11, 89.97, 119.95 degrees
Atoms (fractional coordinates):
1 Si 0.957 0.620 0.086
2 Si 0.378 0.336 0.083
3 Si 0.618 0.957 0.417
4 Si 0.335 0.960 0.916
5 Si 0.668 0.629 0.586
6 Si 0.284 0.286 0.751
7 Si 0.337 0.381 0.417
8 Si 0.044 0.662 0.417
9 Si 0.624 0.665 0.917
10 Si 0.711 0.997 0.751
11 Si 0.668 0.044 0.083
12 Si 0.004 0.716 0.750
13 Si 0.040 0.376 0.915
14 Si 0.961 0.333 0.586
15 Si 0.297 0.002 0.253
16 O 0.473 0.307 0.748
17 O 0.698 0.166 0.025
18 O 0.296 0.814 0.254
19 O 0.356 0.862 0.857
20 O 0.205 0.010 0.313
21 O 0.824 0.525 0.031
22 O 0.809 0.798 0.308
23 O 0.371 0.507 0.359
24 O 0.811 0.837 0.911
25 O 0.986 0.197 0.311
26 O 0.171 0.692 0.472
27 O 0.351 0.862 0.574
28 O 0.845 0.815 0.587
29 O 0.169 0.193 0.415
30 O 0.510 0.365 0.424
31 O 0.834 0.023 0.808
32 O 0.188 0.161 0.093
33 O 0.175 0.471 0.253
34 O 0.465 0.293 0.026
35 O 0.524 0.819 0.755
36 O 0.298 0.476 0.755
37 O 0.155 0.664 0.075
38 O 0.522 0.833 0.473
39 O 0.160 0.195 0.692
40 O 0.492 0.863 0.359
41 O 0.799 0.823 0.195
42 O 0.613 0.116 0.138
43 O 0.504 0.657 0.575
44 O 0.975 0.815 0.092
45 O 0.978 0.812 0.808
46 O 0.856 0.485 0.424
47 O 0.024 0.188 0.911
48 O 0.016 0.190 0.198
49 O 0.834 0.015 0.092
50 O 0.135 0.492 0.856
51 O 0.470 0.157 0.528
52 O 0.163 0.975 0.911
53 O 0.804 0.964 0.692
54 O 0.314 0.844 0.975
55 O 0.855 0.329 0.247
56 O 0.132 0.627 0.357
57 O 0.169 0.976 0.195
58 O 0.528 0.688 0.975
59 O 0.163 0.478 0.972
60 O 0.686 0.161 0.747
61 O 0.179 0.702 0.755
62 O 0.627 0.142 0.423
63 O 0.014 0.825 0.414
64 O 0.526 0.695 0.254
65 O 0.196 0.028 0.586
66 O 0.037 0.841 0.692
67 O 0.351 0.501 0.073
68 O 0.881 0.359 0.646
69 O 0.686 0.524 0.527
70 O 0.311 0.479 0.474
71 O 0.855 0.364 0.923
72 O 0.187 0.165 0.808
73 O 0.639 0.494 0.924
74 O 0.887 0.521 0.148
75 O 0.636 0.521 0.646
76 O 0.501 0.386 0.140
77 O 0.507 0.147 0.922
78 O 0.504 0.642 0.858
79 O 0.695 0.537 0.247
80 O 0.504 0.848 0.073
81 O 0.808 0.981 0.413
82 O 0.485 0.164 0.248
83 O 0.476 0.117 0.641
84 O 0.837 0.527 0.748
85 O 0.149 0.503 0.575
86 O 0.980 0.161 0.587
87 O 0.837 0.309 0.527
88 Na 0.333 0.655 0.165
89 Na 0.666 0.334 0.834
90 Na 0.999 0.012 0.995
91 Na 0.709 0.679 0.414
92 Na 0.321 0.032 0.412
93 Na 0.319 0.976 0.084
94 Na 0.987 0.365 0.746
95 Na 0.632 0.620 0.746
96 Na 0.967 0.289 0.413
97 Na 0.991 0.631 0.242
98 Na 0.377 0.011 0.748
99 Na 0.998 0.000 0.501
100 Na 0.332 0.662 0.664
101 Na 0.664 0.687 0.084
102 Na 0.648 0.316 0.323
103 Sc 0.005 0.003 0.354
104 Sc 0.670 0.339 0.686
105 Sc 0.658 0.325 0.184
106 Ta 0.667 0.332 0.978
107 Ta 0.000 0.999 0.858
108 Ta 0.671 0.336 0.482
109 Ta 0.337 0.669 0.311
110 Ta 0.997 0.999 0.644
111 Ta 0.334 0.665 0.522
112 Ta 0.333 0.666 0.813
113 Ta 0.329 0.664 0.018
114 Ta 0.004 0.004 0.146
115 P 0.003 0.293 0.253
116 P 0.375 0.042 0.584
117 P 0.707 0.711 0.251

- uncorrected energy (eV per atom) = -7.81
- formation energy from the elements (eV/f.u.) = -121.1
- theoretical density (g cm⁻³) = 3.9
- space-group type = P1, No. 1

---

(2)
Na8Sc3TaSi4P2O24: optimized geometry, PBE.

Cell lengths 9.172, 9.187, 22.507 Å; angles 90.01, 90.03, 119.99 degrees
Atoms (fractional coordinates):
1 O 0.134 0.499 0.861
2 O 0.645 0.152 0.425
3 O 0.686 0.528 0.247
4 O 0.875 0.513 0.143
5 O 0.479 0.124 0.641
6 O 0.375 0.491 0.358
7 O 0.152 0.456 0.978
8 O 0.148 0.652 0.080
9 O 0.509 0.825 0.758
10 O 0.160 0.472 0.252
11 O 0.982 0.189 0.305
12 O 0.358 0.867 0.579
13 O 0.155 0.700 0.475
14 O 0.499 0.636 0.861
15 O 0.118 0.626 0.358
16 O 0.310 0.837 0.252
17 O 0.840 0.312 0.247
18 O 0.187 0.163 0.085
19 O 0.006 0.824 0.410
20 O 0.309 0.487 0.758
21 O 0.815 0.023 0.810
22 O 0.036 0.818 0.695
23 O 0.852 0.530 0.747
24 O 0.189 0.980 0.193
25 O 0.681 0.521 0.527
26 O 0.783 0.959 0.692
27 O 0.357 0.502 0.081
28 O 0.641 0.518 0.645
29 O 0.830 0.033 0.085
30 O 0.486 0.356 0.144
31 O 0.485 0.327 0.747
32 O 0.503 0.653 0.580
33 O 0.202 0.030 0.586
34 O 0.474 0.310 0.025
*/
(1)
Na5ScTa3Si5PO24: optimized geometry, PBE.

Cell lengths 9.032, 9.036, 22.493 Å; angles 90.11, 89.97, 119.95 degrees
Atoms (fractional coordinates):
1 Si 0.957 0.620 0.086
2 Si 0.378 0.336 0.083
3 Si 0.618 0.957 0.417
4 Si 0.335 0.960 0.916
5 Si 0.668 0.629 0.586
6 Si 0.284 0.286 0.751
7 Si 0.337 0.381 0.417
8 Si 0.044 0.662 0.417
9 Si 0.624 0.665 0.917
10 Si 0.711 0.997 0.751
11 Si 0.668 0.044 0.083
12 Si 0.004 0.716 0.750
13 Si 0.040 0.376 0.915
14 Si 0.961 0.333 0.586
15 Si 0.297 0.002 0.253
16 O 0.473 0.307 0.748
17 O 0.698 0.166 0.025
18 O 0.296 0.814 0.254
19 O 0.356 0.862 0.857
20 O 0.205 0.010 0.313
21 O 0.824 0.525 0.031
22 O 0.809 0.798 0.308
23 O 0.371 0.507 0.359
24 O 0.811 0.837 0.911
25 O 0.986 0.197 0.311
26 O 0.171 0.692 0.472
27 O 0.351 0.862 0.574
28 O 0.845 0.815 0.587
29 O 0.169 0.193 0.415
30 O 0.510 0.365 0.424
31 O 0.834 0.023 0.808
32 O 0.188 0.161 0.093
33 O 0.175 0.471 0.253
34 O 0.465 0.293 0.026
35 O 0.524 0.819 0.755
36 O 0.298 0.476 0.755
37 O 0.155 0.664 0.075
38 O 0.522 0.833 0.473
39 O 0.160 0.195 0.692
40 O 0.492 0.863 0.359
41 O 0.799 0.823 0.195
42 O 0.613 0.116 0.138
43 O 0.504 0.657 0.575
44 O 0.975 0.815 0.092
45 O 0.978 0.812 0.808
46 O 0.856 0.485 0.424
47 O 0.024 0.188 0.911
48 O 0.016 0.190 0.198
49 O 0.834 0.015 0.092
50 O 0.135 0.492 0.856
51 O 0.470 0.157 0.528
52 O 0.163 0.975 0.911
53 O 0.804 0.964 0.692
54 O 0.314 0.844 0.975
55 O 0.855 0.329 0.247
56 O 0.132 0.627 0.357
57 O 0.169 0.976 0.195
58 O 0.528 0.688 0.975
59 O 0.163 0.478 0.972
60 O 0.686 0.161 0.747
61 O 0.179 0.702 0.755
62 O 0.627 0.142 0.423
63 O 0.014 0.825 0.414
64 O 0.526 0.695 0.254
65 O 0.196 0.028 0.586
66 O 0.037 0.841 0.692
67 O 0.351 0.501 0.073
68 O 0.881 0.359 0.646
69 O 0.686 0.524 0.527
70 O 0.311 0.479 0.474
71 O 0.855 0.364 0.923
72 O 0.187 0.165 0.808
73 O 0.639 0.494 0.924
74 O 0.887 0.521 0.148
75 O 0.636 0.521 0.646
76 O 0.501 0.386 0.140
77 O 0.507 0.147 0.922
78 O 0.504 0.642 0.858
79 O 0.695 0.537 0.247
80 O 0.504 0.848 0.073
81 O 0.808 0.981 0.413
82 O 0.485 0.164 0.248
83 O 0.476 0.117 0.641
84 O 0.837 0.527 0.748
85 O 0.149 0.503 0.575
86 O 0.980 0.161 0.587
87 O 0.837 0.309 0.527
88 Na 0.333 0.655 0.165
89 Na 0.666 0.334 0.834
90 Na 0.999 0.012 0.995
91 Na 0.709 0.679 0.414
92 Na 0.321 0.032 0.412
93 Na 0.319 0.976 0.084
94 Na 0.987 0.365 0.746
95 Na 0.632 0.620 0.746
96 Na 0.967 0.289 0.413
97 Na 0.991 0.631 0.242
98 Na 0.377 0.011 0.748
99 Na 0.998 0.000 0.501
100 Na 0.332 0.662 0.664
101 Na 0.664 0.687 0.084
102 Na 0.648 0.316 0.323
103 Sc 0.005 0.003 0.354
104 Sc 0.670 0.339 0.686
105 Sc 0.658 0.325 0.184
106 Ta 0.667 0.332 0.978
107 Ta 0.000 0.999 0.858
108 Ta 0.671 0.336 0.482
109 Ta 0.337 0.669 0.311
110 Ta 0.997 0.999 0.644
111 Ta 0.334 0.665 0.522
112 Ta 0.333 0.666 0.813
113 Ta 0.329 0.664 0.018
114 Ta 0.004 0.004 0.146
115 P 0.003 0.293 0.253
116 P 0.375 0.042 0.584
117 P 0.707 0.711 0.251

- uncorrected energy (eV per atom) = -7.81
- formation energy from the elements (eV/f.u.) = -121.1
- theoretical density (g cm⁻³) = 3.9
- space-group type = P1, No. 1

---

(2)
Na8Sc3TaSi4P2O24: optimized geometry, PBE.

Cell lengths 9.172, 9.187, 22.507 Å; angles 90.01, 90.03, 119.99 degrees
Atoms (fractional coordinates):
1 O 0.134 0.499 0.861
2 O 0.645 0.152 0.425
3 O 0.686 0.528 0.247
4 O 0.875 0.513 0.143
5 O 0.479 0.124 0.641
6 O 0.375 0.491 0.358
7 O 0.152 0.456 0.978
8 O 0.148 0.652 0.080
9 O 0.509 0.825 0.758
10 O 0.160 0.472 0.252
11 O 0.982 0.189 0.305
12 O 0.358 0.867 0.579
13 O 0.155 0.700 0.475
14 O 0.499 0.636 0.861
15 O 0.118 0.626 0.358
16 O 0.310 0.837 0.252
17 O 0.840 0.312 0.247
18 O 0.187 0.163 0.085
19 O 0.006 0.824 0.410
20 O 0.309 0.487 0.758
21 O 0.815 0.023 0.810
22 O 0.036 0.818 0.695
23 O 0.852 0.530 0.747
24 O 0.189 0.980 0.193
25 O 0.681 0.521 0.527
26 O 0.783 0.959 0.692
27 O 0.357 0.502 0.081
28 O 0.641 0.518 0.645
29 O 0.830 0.033 0.085
30 O 0.486 0.356 0.144
31 O 0.485 0.327 0.747
32 O 0.503 0.653 0.580
33 O 0.202 0.030 0.586
34 O 0.474 0.310 0.025